People and Traditions

Thanksgiving is always celebrated in this month of the year.

What is November?


Most people roast one of these big birds for Thanksgiving dinner

What is a turkey?


The day after Thanksgiving has become known for super big sales at department stores, and people do a lot of Christmas shopping on this day.

What is Black Friday?


This is the world's largest parade and happens every year on Thanksgiving morning in New York City

What is the Macy's Day Parade?


These traditional Thanksgiving desserts are round and often filled with fruit and topped with ice cream

What are pies?


True or False:

The first Thanksgiving took place in the year 1621

What is True!


This red jelly-like fruit sauce goes very well with roast turkey

What is cranberry sauce?


This is also known as The Horn of Plenty and is a traditional centerpiece used to decorate the thanksgiving table

What is a cornucopia?


People like to play this and watch this popular American sport every year on Thanksgiving


What is football?


This is not really a traditional cake, and not really traditional cheese, but it is a tasty, sweet dessert

What is cheesecake?


This group of people settled in Plymouth, Massachusetts and were the ones who celebrated the first Thanksgiving

What were the pilgrims?


This is made from small chunks of bread and can be "stuffed" inside of the turkey to cook

What is stuffing?


The most popular way for people to eat leftovers from Thanksgiving dinner is by making this with two pieces of bread, turkey, stuffing, and cranberry sauce

What is a sandwich?


Families and friends like to sit down together to play games after Thanksgiving dinner, especially this game using letter tiles to make words like a crossword puzzle

What is Scrabble?


You could make this type of pie by cooking your jack-o-lantern, if you had to...

What is pumpkin pie?


Abraham Lincoln declared that this day of the week (during the last week of November) would always be Thanksgiving Day

What is Thursday?


This orange vegetable is often served at Thanksgiving and is also a favorite food of Bugs Bunny

What are carrots?


When it's not possible to be with family on Thanksgiving, many people get together with their friends to celebrate and enjoy a turkey dinner, and call it ______________________

What is Friendsgiving?


Many people like to watch Christmas movies on Thanksgiving night, especially this funny movie about one of Santa's helpers

**These records of crystals were left in the article by mistake:**
........
r2SCAN BeGeP2, optimized geometry; formation enthalpy at 0 K = -0.3304 eV per atom; calculated density = 3.41 g cm⁻³; crystal system = tetragonal
1.0
-2.591 2.591 5.201
2.591 -2.591 5.201
2.591 2.591 -5.201
Be Ge P
2 2 4
Direct
0.000 0.000 0.000 Be
0.750 0.250 0.500 Be
0.250 0.750 0.500 Ge
0.500 0.500 0.000 Ge
0.100 0.125 0.475 P
0.375 0.900 0.025 P
0.650 0.625 0.525 P
0.875 0.350 0.975 P



r2SCAN Zr3Hg, optimized geometry; formation enthalpy at 0 K = -0.2144 eV per atom; calculated density = 9.01 g cm⁻³; crystal system = cubic
1.0
5.591 0.000 0.000
0.000 5.591 0.000
0.000 0.000 5.591
Zr Hg
6 2
Direct
0.000 0.250 0.500 Zr
0.000 0.750 0.500 Zr
0.250 0.500 0.000 Zr
0.500 0.000 0.250 Zr
0.500 0.000 0.750 Zr
0.750 0.500 0.000 Zr
0.000 0.000 0.000 Hg
0.500 0.500 0.500 Hg



r2SCAN MnSeO3, optimized geometry; formation enthalpy at 0 K = -1.3897 eV per atom; calculated density = 4.23 g cm⁻³; crystal system = monoclinic
1.0
8.023 0.000 0.000
0.000 8.307 0.000
-6.050 0.000 8.577
Mn Se O
8 8 24
Direct
0.028 0.203 0.016 Mn
0.028 0.297 0.516 Mn
0.303 0.119 0.876 Mn
0.303 0.381 0.376 Mn
0.697 0.619 0.624 Mn
0.697 0.881 0.124 Mn
0.972 0.703 0.484 Mn
0.972 0.797 0.984 Mn
0.142 0.504 0.833 Se
0.142 0.996 0.333 Se
0.431 0.629 0.208 Se
0.431 0.871 0.708 Se
0.569 0.129 0.292 Se
0.569 0.371 0.792 Se
0.858 0.004 0.667 Se
0.858 0.496 0.167 Se
0.029 0.512 0.369 O
0.029 0.988 0.869 O
0.030 0.091 0.641 O
0.030 0.409 0.141 O
0.148 0.185 0.399 O
0.148 0.315 0.899 O
0.285 0.705 0.656 O
0.285 0.795 0.156 O
0.339 0.209 0.236 O
0.339 0.291 0.736 O
0.473 0.583 0.385 O
0.473 0.917 0.885 O
0.527 0.083 0.115 O
0.527 0.417 0.615 O
0.661 0.709 0.264 O
0.661 0.791 0.764 O
0.715 0.205 0.844 O
0.715 0.295 0.344 O
0.852 0.685 0.101 O
0.852 0.815 0.601 O
0.970 0.591 0.859 O
0.970 0.909 0.359 O
0.971 0.012 0.131 O
0.971 0.488 0.631 O


1.
The following is a DFT calculation (GGA-PBE) of a relaxed structure of BaCl2.

The structure in POSCAR format:
```
BaCl2
1.0
8.183 0.000 0.000
-4.091 7.086 0.000
0.000 0.000 4.716
Ba Cl
3 6
direct
0.000 0.000 0.000
0.333 0.667 0.500
0.667 0.333 0.500
0.000 0.407 0.000
0.000 0.743 0.500
0.257 0.257 0.500
0.407 0.000 0.000
0.593 0.593 0.000
0.743 0.000 0.500
```

Calculated values
ΔE_f = -2.938 eV/atom
V = 30.4 Å³ per atom
Maximum piezoelectric response = 0.90 C/m2
SG = P-62m (189)
E = -39.61 eV/cell

---

2.
The following is a DFT calculation (GGA-PBE) of a relaxed structure of HoCoGe.

The structure in POSCAR format:
```
HoCoGe
1.0
6.853 0.000 0.000
0.000 4.219 0.000
0.000 0.000 7.219
Ho Co Ge
4 4 4
direct
0.008 0.250 0.200
0.492 0.750 0.700
0.508 0.250 0.300
0.992 0.750 0.800
0.157 0.750 0.432
0.343 0.250 0.932
0.657 0.750 0.068
0.843 0.250 0.568
0.204 0.250 0.599
0.296 0.750 0.099
0.704 0.250 0.901
0.796 0.750 0.401
```

Calculated values
ΔE_f = -0.671 eV/atom
V = 17.4 Å³ per atom
SG = Pnma (62)
E = -73.30 eV/cell

---

3.
The following is a DFT calculation (GGA-PBE) of a relaxed structure of Ba4OF6.

The structure in POSCAR format:
```
Ba4OF6
1.0
........

What is Elf?


This very sweet candy is shaped like a triangle and has 3 sections- white, orange, and yellow

What is candy corn?


The name of the ship that the Puritans sailed on when they came to the Americas was called The _______________ .

What is The Mayflower?


You can pour gravy over french fries, but it tastes better when poured onto this type of cooked potato

What are mashed potatoes?


Almost as soon as Thanksgiving is over, people start getting ready for this next big holiday in December.

What is Christmas?


Many people are so tired and relaxed that they have to do this in the afternoon because they have eaten so much at the Thanksgiving table

What is take a nap?


This dessert comes in many flavors and can really be eaten any time of year - Thanksgiving or not - as long as you keep it in the freezer

What is ice cream?